........
9
Properties=species:S:1:pos:R:3 method="wB97M-V/def2-TZVPD" lumo_energy_ev=0.7 e_above_lowest_kcal_mol=78.3 orbital_gap_ev=9.631 smiles="C#CS.C=O" homo_energy_ev=-8.89
C -0.1205 -1.6439 0.9595
C -1.1480 -1.1067 0.6438
S -2.4496 -0.0691 0.1885
H 0.6299 -2.3819 0.9599
H -1.7898 -0.0618 -0.9317
C 1.2227 1.3702 -0.4245
O 0.3266 1.2802 0.3079
H 2.3132 1.3956 -0.2163
H 1.0155 1.2173 -1.4873

=====

10
Properties=species:S:1:pos:R:3 method="wB97M-V/def2-TZVPD" lumo_energy_ev=-1.0 e_above_lowest_kcal_mol=44.3 orbital_gap_ev=7.899 smiles="OC(C=S)C=S" homo_energy_ev=-8.93
O -0.0814 1.2814 -1.0497
C -0.0400 0.5782 0.1302
C 1.1301 -0.4128 0.3111
S 2.1948 -0.7592 -0.8231
C -1.2227 -0.3490 0.3052
S -2.1889 -0.7974 -0.8599
H 0.4884 0.7943 -1.6175
H -0.0570 1.2492 0.9817
H 1.1809 -0.8945 1.2871
H -1.4042 -0.6901 1.3348

=====

10
Properties=species:S:1:pos:R:3 method="wB97M-V/def2-TZVPD" lumo_energy_ev=-1.3 e_above_lowest_kcal_mol=35.8 orbital_gap_ev=8.031 smiles="CSC(=S)C=O" homo_energy_ev=-9.33
C 1.4129 -0.1243 -0.8688
S 1.0014 1.1832 0.3104
C -0.6490 0.7710 0.9071
S -1.6472 1.7116 1.7733
C -1.3772 -0.5134 0.4604
O -1.1012 -1.2761 -0.4560
H 1.7166 -1.1405 -0.3533
H 0.5863 -0.1965 -1.5965
H 2.3072 0.2514 -1.3418
H -2.2499 -0.6663 1.1652

=====

10
Properties=species:S:1:pos:R:3 method="wB97M-V/def2-TZVPD" lumo_energy_ev=-1.1 e_above_lowest_kcal_mol=51.4 orbital_gap_ev=7.753 smiles="COC(=S)C=S" homo_energy_ev=-8.84
C 0.1837 1.3665 -0.2240
O -0.9535 0.5288 -0.4577
C -0.9310 -0.7647 -0.1151
S -2.1708 -1.8085 -0.2740
C 0.3710 -1.3184 0.4927
S 1.5927 -1.8496 -0.4482
H 1.0800 0.7709 -0.2692
H 0.1217 1.8503 0.7713
H 0.1058 2.1598 -0.9891
H 0.6003 -0.9352 1.5133

=====

10
Properties=species:S:1:pos:R:3 method="wB97M-V/def2-TZVPD" lumo_energy_ev=0.5 e_above_lowest_kcal_mol=68.7 orbital_gap_ev=9.803 smiles=S[C@@]12OC[C@@H]1S2 homo_energy_ev=-9.29
S 2.6483 0.7443 -0.0651
C 1.1436 -0.1918 0.1114
O 0.1150 0.4456 1.0828
C -0.9579 -0.0322 0.3063
C -0.0329 -0.6416 -0.7251
S 0.8086 -1.9735 0.2463
H 3.3784 -0.0693 0.8547
H -1.5146 0.9020 -0.0703
H -1.5377 -0.7173 0.7616
H -0.1825 -0.6876 -1.7489

=====

8
Properties=species:S:1:pos:R:3 method="wB97M-V/def2-TZVPD" lumo_energy_ev=0.3 e_above_lowest_kcal_mol=81.4 orbital_gap_ev=8.919 smiles="C1=CC=1.S" homo_energy_ev=-8.60
C -0.2177 -0.6282 -0.0549
C 0.4221 -1.0085 -1.2639
C 1.2356 -1.0036 -0.1736
H 0.3557 -1.3054 -2.2691
H 2.3018 -1.1084 0.1715
S -1.3790 1.6951 1.7796
H -1.8916 2.6295 0.9759
H -0.8270 0.7296 0.8345

=====

9
Properties=species:S:1:pos:R:3 method="wB97M-V/def2-TZVPD" lumo_energy_ev=0.1 e_above_lowest_kcal_mol=15.3 orbital_gap_ev=8.711 homo_energy_ev=-8.60
C -0.3798 -0.2793 -0.1369
C -0.1966 -0.4164 1.3591
C 0.9340 0.5912 1.6853
H -0.0769 -1.4614 1.6718
H -1.1647 0.0519 1.6178
H 1.8826 0.2302 1.9865
H 0.6581 1.4652 2.2663
S -1.0730 -0.9524 -1.4031
S 0.8577 0.9737 -0.1586

=====

9
Properties=species:S:1:pos:R:3 method="wB97M-V/def2-TZVPD" lumo_energy_ev="-2.3 / -0.9" e_above_lowest_kcal_mol=99.2 orbital_gap_ev="5.382 / 8.882" homo_energy_ev="-7.67 / -9.75"
C -0.3325 1.8536 1.3995
C -0.6908 0.9549 0.6494
C -0.8464 -0.0935 -0.2265
S 2.1207 -0.9125 0.4214
S -1.0958 0.0157 -1.9159
H -0.1549 2.4285 2.2820
H -0.4071 -1.0238 0.0087
H 2.3136 -1.9902 -0.3262
H -0.9068 -1.2326 -2.2924

=====

9
Properties=species:S:1:pos:R:3 method="wB97M-V/def2-TZVPD" lumo_energy_ev=0.4 e_above_lowest_kcal_mol=45.6 orbital_gap_ev=9.485 smiles=C#CCSS homo_energy_ev=-9.06
C 1.9140 -0.2727 0.7889
C 1.1612 0.1857 0.0222
C 0.1320 0.7256 -0.7124
S -1.2984 0.7653 0.6638
S -2.5035 -0.6693 -0.2164
H 2.4983 -0.7203 1.6193
H -0.1959 0.1098 -1.5030
H 0.3491 1.7597 -0.9939
H -2.0567 -1.8839 0.3316

=====

9
Properties=species:S:1:pos:R:3 method="wB97M-V/def2-TZVPD" lumo_energy_ev=-0.5 e_above_lowest_kcal_mol=22.0 orbital_gap_ev=8.254 smiles="C=CC(=S)S" homo_energy_ev=-8.78
C -0.8902 -0.7563 -0.3482
C 0.1525 -0.6543 0.3811
C 1.0551 0.5152 0.1542
S 2.6664 0.1871 -0.1499
S 0.3118 2.0710 -0.0173
H -1.4952 -1.5902 -0.4012
........
Repeat the data further up from the line with "2.3132 1.3956" to the end with every line break kept, please.
H 2.3132 1.3956 -0.2163
H 1.0155 1.2173 -1.4873

=====

10
Properties=species:S:1:pos:R:3 method="wB97M-V/def2-TZVPD" lumo_energy_ev=-1.0 e_above_lowest_kcal_mol=44.3 orbital_gap_ev=7.899 smiles="OC(C=S)C=S" homo_energy_ev=-8.93
O -0.0814 1.2814 -1.0497
C -0.0400 0.5782 0.1302
C 1.1301 -0.4128 0.3111
S 2.1948 -0.7592 -0.8231
C -1.2227 -0.3490 0.3052
S -2.1889 -0.7974 -0.8599
H 0.4884 0.7943 -1.6175
H -0.0570 1.2492 0.9817
H 1.1809 -0.8945 1.2871
H -1.4042 -0.6901 1.3348

=====

10
Properties=species:S:1:pos:R:3 method="wB97M-V/def2-TZVPD" lumo_energy_ev=-1.3 e_above_lowest_kcal_mol=35.8 orbital_gap_ev=8.031 smiles="CSC(=S)C=O" homo_energy_ev=-9.33
C 1.4129 -0.1243 -0.8688
S 1.0014 1.1832 0.3104
C -0.6490 0.7710 0.9071
S -1.6472 1.7116 1.7733
C -1.3772 -0.5134 0.4604
O -1.1012 -1.2761 -0.4560
H 1.7166 -1.1405 -0.3533
H 0.5863 -0.1965 -1.5965
H 2.3072 0.2514 -1.3418
H -2.2499 -0.6663 1.1652

=====

10
Properties=species:S:1:pos:R:3 method="wB97M-V/def2-TZVPD" lumo_energy_ev=-1.1 e_above_lowest_kcal_mol=51.4 orbital_gap_ev=7.753 smiles="COC(=S)C=S" homo_energy_ev=-8.84
C 0.1837 1.3665 -0.2240
O -0.9535 0.5288 -0.4577
C -0.9310 -0.7647 -0.1151
S -2.1708 -1.8085 -0.2740
C 0.3710 -1.3184 0.4927
S 1.5927 -1.8496 -0.4482
H 1.0800 0.7709 -0.2692
H 0.1217 1.8503 0.7713
H 0.1058 2.1598 -0.9891
H 0.6003 -0.9352 1.5133

=====

10
Properties=species:S:1:pos:R:3 method="wB97M-V/def2-TZVPD" lumo_energy_ev=0.5 e_above_lowest_kcal_mol=68.7 orbital_gap_ev=9.803 smiles=S[C@@]12OC[C@@H]1S2 homo_energy_ev=-9.29
S 2.6483 0.7443 -0.0651
C 1.1436 -0.1918 0.1114
O 0.1150 0.4456 1.0828
C -0.9579 -0.0322 0.3063
C -0.0329 -0.6416 -0.7251
S 0.8086 -1.9735 0.2463
H 3.3784 -0.0693 0.8547
H -1.5146 0.9020 -0.0703
H -1.5377 -0.7173 0.7616
H -0.1825 -0.6876 -1.7489

=====

8
Properties=species:S:1:pos:R:3 method="wB97M-V/def2-TZVPD" lumo_energy_ev=0.3 e_above_lowest_kcal_mol=81.4 orbital_gap_ev=8.919 smiles="C1=CC=1.S" homo_energy_ev=-8.60
C -0.2177 -0.6282 -0.0549
C 0.4221 -1.0085 -1.2639
C 1.2356 -1.0036 -0.1736
H 0.3557 -1.3054 -2.2691
H 2.3018 -1.1084 0.1715
S -1.3790 1.6951 1.7796
H -1.8916 2.6295 0.9759
H -0.8270 0.7296 0.8345

=====

9
Properties=species:S:1:pos:R:3 method="wB97M-V/def2-TZVPD" lumo_energy_ev=0.1 e_above_lowest_kcal_mol=15.3 orbital_gap_ev=8.711 homo_energy_ev=-8.60
C -0.3798 -0.2793 -0.1369
C -0.1966 -0.4164 1.3591
C 0.9340 0.5912 1.6853
H -0.0769 -1.4614 1.6718
H -1.1647 0.0519 1.6178
H 1.8826 0.2302 1.9865
H 0.6581 1.4652 2.2663
S -1.0730 -0.9524 -1.4031
S 0.8577 0.9737 -0.1586

=====

9
Properties=species:S:1:pos:R:3 method="wB97M-V/def2-TZVPD" lumo_energy_ev="-2.3 / -0.9" e_above_lowest_kcal_mol=99.2 orbital_gap_ev="5.382 / 8.882" homo_energy_ev="-7.67 / -9.75"
C -0.3325 1.8536 1.3995
C -0.6908 0.9549 0.6494
C -0.8464 -0.0935 -0.2265
S 2.1207 -0.9125 0.4214
S -1.0958 0.0157 -1.9159
H -0.1549 2.4285 2.2820
H -0.4071 -1.0238 0.0087
H 2.3136 -1.9902 -0.3262
H -0.9068 -1.2326 -2.2924

=====

9
Properties=species:S:1:pos:R:3 method="wB97M-V/def2-TZVPD" lumo_energy_ev=0.4 e_above_lowest_kcal_mol=45.6 orbital_gap_ev=9.485 smiles=C#CCSS homo_energy_ev=-9.06
C 1.9140 -0.2727 0.7889
C 1.1612 0.1857 0.0222
C 0.1320 0.7256 -0.7124
S -1.2984 0.7653 0.6638
S -2.5035 -0.6693 -0.2164
H 2.4983 -0.7203 1.6193
H -0.1959 0.1098 -1.5030
H 0.3491 1.7597 -0.9939
H -2.0567 -1.8839 0.3316

=====

9
Properties=species:S:1:pos:R:3 method="wB97M-V/def2-TZVPD" lumo_energy_ev=-0.5 e_above_lowest_kcal_mol=22.0 orbital_gap_ev=8.254 smiles="C=CC(=S)S" homo_energy_ev=-8.78
C -0.8902 -0.7563 -0.3482
C 0.1525 -0.6543 0.3811
C 1.0551 0.5152 0.1542
S 2.6664 0.1871 -0.1499
S 0.3118 2.0710 -0.0173
H -1.4952 -1.5902 -0.4012